**Work order:**
The reader should repeat everything further below verbatim.

**Source:**
<w>
DFT (ωB97M-V/def2-TZVPD) results for a structure of composition C6H13NO4S.

The geometry in XYZ format:
```
25
Properties=species:S:1:pos:R:3:mulliken_charge:R:1
S -0.179 2.464 -1.449 1.11
O 0.355 1.227 -2.002 -0.51
O -1.625 2.075 -0.608 -0.46
O 0.790 0.130 0.260 -0.35
O -0.834 3.553 -2.286 -0.63
N 0.779 3.064 -0.295 -0.56
C -0.588 0.002 0.011 0.54
C 1.451 -1.047 -0.290 -0.56
C -0.064 -2.193 1.076 -1.13
C 0.824 -2.530 -0.253 -0.48
C -1.100 -1.241 0.735 -0.59
C -1.152 1.298 0.453 -0.88
H 0.265 3.791 0.211 0.30
H -2.075 1.115 1.098 0.44
H -0.767 -0.206 -1.069 0.47
H -0.388 -3.225 1.403 0.35
H 2.405 -1.129 0.440 0.28
H 1.633 -3.211 0.051 0.35
H -1.533 -1.162 1.822 0.24
H 2.026 -0.748 -1.349 0.23
H 1.402 2.191 0.129 0.43
H 0.362 -1.806 1.888 0.56
H -1.792 -1.727 0.055 0.33
H 0.102 -2.514 -1.189 0.27
H -0.299 1.830 1.157 0.25
```

Values from the calculation:
Lowest unoccupied orbital energy in eV: 0.474
HOMO-LUMO gap in eV: 10.17
Spin multiplicity: 1

=====

<x>
DFT (ωB97M-V/def2-TZVPD) results for a cluster of 2 separate species, C6H13NO4S in total.

The geometry in XYZ format:
```
25
Properties=species:S:1:pos:R:3:mulliken_charge:R:1
S -1.295 2.550 -0.552 -0.21
O -2.736 -1.738 -1.062 -0.48
O -3.386 0.805 -0.472 -0.49
O -2.207 1.030 1.352 -0.47
O -1.856 -2.170 1.033 -0.60
N 0.390 -0.750 0.431 -0.28
C 2.861 1.258 0.585 -1.18
C 1.727 -0.900 -0.175 -0.81
C 2.361 0.415 -0.627 -0.29
C -1.720 -1.541 -0.199 0.04
C -2.403 1.249 0.062 0.65
C -0.705 -0.738 -0.506 -0.48
H 3.604 0.669 1.042 0.34
H 3.230 0.259 -1.247 0.37
H 0.559 0.077 1.045 0.13
H -3.573 -2.246 -0.614 0.39
H -1.217 2.022 -1.813 0.16
H 1.593 0.988 -1.172 0.19
H -1.011 -2.107 1.390 0.38
H 2.386 -1.427 0.607 0.27
H 2.078 1.546 1.308 0.37
H 3.236 2.159 0.113 0.33
H -0.674 -0.141 -1.354 0.83
H 1.548 -1.612 -0.956 0.45
H -2.792 0.344 1.780 0.39
```

Values from the calculation:
Lowest unoccupied orbital energy in eV: 0.512
HOMO-LUMO gap in eV: 8.88
Structure (SMILES): CCCNC=C(O)O.O=C(O)S
Spin multiplicity: 1

=====

The data favor <x>; the next most stable structure lies 353.1 kJ/mol above it.

=====

<w>
DFT (ωB97M-V/def2-TZVPD) results for the molecule C3H9O2PS.

The geometry in XYZ format:
```
16
Properties=species:S:1:pos:R:3:mulliken_charge:R:1
S -1.317 0.265 -0.474 -0.24
P -2.331 -0.995 1.258 0.24
O -2.849 0.263 2.038 -0.41
O 0.949 -0.456 -1.948 -0.32
C -0.406 -0.217 -2.151 -0.35
C 1.755 0.593 -1.540 -0.60
C -0.751 -1.422 2.201 -0.84
H -0.610 0.867 -2.578 0.21
H -1.036 -1.138 3.246 0.27
H -0.873 -0.929 -2.991 0.33
H 2.816 0.078 -1.594 0.19
H 1.498 0.945 -0.587 0.33
H 1.747 1.479 -2.298 0.26
H 0.141 -0.955 1.779 0.25
H -2.308 1.053 2.099 0.33
H -0.628 -2.453 2.206 0.35
```

Values from the calculation:
Lowest unoccupied orbital energy in eV: 0.625
HOMO-LUMO gap in eV: 9.23
Structure (SMILES): COCSP(C)O
Spin multiplicity: 1

=====

<x>
DFT (ωB97M-V/def2-TZVPD) results for the molecule C3H9O2PS.

The geometry in XYZ format:
```
16
Properties=species:S:1:pos:R:3:mulliken_charge:R:1
S -0.696 0.894 -0.618 0.54
P 0.881 0.069 0.641 0.20
O -1.380 1.909 0.137 -0.50
O -1.665 -0.843 -0.244 -0.47
C 1.337 -1.165 -0.605 -0.94
C 2.196 1.365 0.286 -1.11
C -2.901 -0.796 0.523 -0.51
H -2.753 -1.369 1.352 0.25
H 0.523 -1.785 -0.810 0.39
H 1.531 -0.764 -1.757 0.25
H -3.080 0.338 0.624 0.20
H 2.309 -1.471 -0.274 0.36
H 2.395 1.960 1.158 0.34
H 1.926 1.981 -0.585 0.31
H 3.061 0.931 0.145 0.43
H -3.684 -1.254 0.026 0.24
```

Values from the calculation:
Lowest unoccupied orbital energy in eV: -0.034
HOMO-LUMO gap in eV: 9.04
Structure (SMILES): COS(=O)#P(C)C
Spin multiplicity: 1

=====

<y>
DFT (ωB97M-V/def2-TZVPD) results for a cluster of 2 separate species, C3H9O2PS in total.

The geometry in XYZ format:
```
16
Properties=species:S:1:pos:R:3:mulliken_charge:R:1
S 3.081 0.064 -0.169 -0.21
P -1.136 -0.150 -0.106 0.90
O -2.718 -0.184 0.124 -0.53
O -0.495 -1.474 -0.213 -0.66
C 3.207 -1.525 0.037 -0.31
C -1.012 0.998 -1.574 -1.13
C -0.553 0.774 1.393 -0.91
H -0.379 1.757 -1.339 0.41

**Worked solution:**
<w>
DFT (ωB97M-V/def2-TZVPD) results for a structure of composition C6H13NO4S.

The geometry in XYZ format:
```
25
Properties=species:S:1:pos:R:3:mulliken_charge:R:1
S -0.179 2.464 -1.449 1.11
O 0.355 1.227 -2.002 -0.51
O -1.625 2.075 -0.608 -0.46
O 0.790 0.130 0.260 -0.35
O -0.834 3.553 -2.286 -0.63
N 0.779 3.064 -0.295 -0.56
C -0.588 0.002 0.011 0.54
C 1.451 -1.047 -0.290 -0.56
C -0.064 -2.193 1.076 -1.13
C 0.824 -2.530 -0.253 -0.48
C -1.100 -1.241 0.735 -0.59
C -1.152 1.298 0.453 -0.88
H 0.265 3.791 0.211 0.30
H -2.075 1.115 1.098 0.44
H -0.767 -0.206 -1.069 0.47
H -0.388 -3.225 1.403 0.35
H 2.405 -1.129 0.440 0.28
H 1.633 -3.211 0.051 0.35
H -1.533 -1.162 1.822 0.24
H 2.026 -0.748 -1.349 0.23
H 1.402 2.191 0.129 0.43
H 0.362 -1.806 1.888 0.56
H -1.792 -1.727 0.055 0.33
H 0.102 -2.514 -1.189 0.27
H -0.299 1.830 1.157 0.25
```

Values from the calculation:
Lowest unoccupied orbital energy in eV: 0.474
HOMO-LUMO gap in eV: 10.17
Spin multiplicity: 1

=====

<x>
DFT (ωB97M-V/def2-TZVPD) results for a cluster of 2 separate species, C6H13NO4S in total.

The geometry in XYZ format:
```
25
Properties=species:S:1:pos:R:3:mulliken_charge:R:1
S -1.295 2.550 -0.552 -0.21
O -2.736 -1.738 -1.062 -0.48
O -3.386 0.805 -0.472 -0.49
O -2.207 1.030 1.352 -0.47
O -1.856 -2.170 1.033 -0.60
N 0.390 -0.750 0.431 -0.28
C 2.861 1.258 0.585 -1.18
C 1.727 -0.900 -0.175 -0.81
C 2.361 0.415 -0.627 -0.29
C -1.720 -1.541 -0.199 0.04
C -2.403 1.249 0.062 0.65
C -0.705 -0.738 -0.506 -0.48
H 3.604 0.669 1.042 0.34
H 3.230 0.259 -1.247 0.37
H 0.559 0.077 1.045 0.13
H -3.573 -2.246 -0.614 0.39
H -1.217 2.022 -1.813 0.16
H 1.593 0.988 -1.172 0.19
H -1.011 -2.107 1.390 0.38
H 2.386 -1.427 0.607 0.27
H 2.078 1.546 1.308 0.37
H 3.236 2.159 0.113 0.33
H -0.674 -0.141 -1.354 0.83
H 1.548 -1.612 -0.956 0.45
H -2.792 0.344 1.780 0.39
```

Values from the calculation:
Lowest unoccupied orbital energy in eV: 0.512
HOMO-LUMO gap in eV: 8.88
Structure (SMILES): CCCNC=C(O)O.O=C(O)S
Spin multiplicity: 1

=====

The data favor <x>; the next most stable structure lies 353.1 kJ/mol above it.

=====

<w>
DFT (ωB97M-V/def2-TZVPD) results for the molecule C3H9O2PS.

The geometry in XYZ format:
```
16
Properties=species:S:1:pos:R:3:mulliken_charge:R:1
S -1.317 0.265 -0.474 -0.24
P -2.331 -0.995 1.258 0.24
O -2.849 0.263 2.038 -0.41
O 0.949 -0.456 -1.948 -0.32
C -0.406 -0.217 -2.151 -0.35
C 1.755 0.593 -1.540 -0.60
C -0.751 -1.422 2.201 -0.84
H -0.610 0.867 -2.578 0.21
H -1.036 -1.138 3.246 0.27
H -0.873 -0.929 -2.991 0.33
H 2.816 0.078 -1.594 0.19
H 1.498 0.945 -0.587 0.33
H 1.747 1.479 -2.298 0.26
H 0.141 -0.955 1.779 0.25
H -2.308 1.053 2.099 0.33
H -0.628 -2.453 2.206 0.35
```

Values from the calculation:
Lowest unoccupied orbital energy in eV: 0.625
HOMO-LUMO gap in eV: 9.23
Structure (SMILES): COCSP(C)O
Spin multiplicity: 1

=====

<x>
DFT (ωB97M-V/def2-TZVPD) results for the molecule C3H9O2PS.

The geometry in XYZ format:
```
16
Properties=species:S:1:pos:R:3:mulliken_charge:R:1
S -0.696 0.894 -0.618 0.54
P 0.881 0.069 0.641 0.20
O -1.380 1.909 0.137 -0.50
O -1.665 -0.843 -0.244 -0.47
C 1.337 -1.165 -0.605 -0.94
C 2.196 1.365 0.286 -1.11
C -2.901 -0.796 0.523 -0.51
H -2.753 -1.369 1.352 0.25
H 0.523 -1.785 -0.810 0.39
H 1.531 -0.764 -1.757 0.25
H -3.080 0.338 0.624 0.20
H 2.309 -1.471 -0.274 0.36
H 2.395 1.960 1.158 0.34
H 1.926 1.981 -0.585 0.31
H 3.061 0.931 0.145 0.43
H -3.684 -1.254 0.026 0.24
```

Values from the calculation:
Lowest unoccupied orbital energy in eV: -0.034
HOMO-LUMO gap in eV: 9.04
Structure (SMILES): COS(=O)#P(C)C
Spin multiplicity: 1

=====

<y>
DFT (ωB97M-V/def2-TZVPD) results for a cluster of 2 separate species, C3H9O2PS in total.

The geometry in XYZ format:
```
16
Properties=species:S:1:pos:R:3:mulliken_charge:R:1
S 3.081 0.064 -0.169 -0.21
P -1.136 -0.150 -0.106 0.90
O -2.718 -0.184 0.124 -0.53
O -0.495 -1.474 -0.213 -0.66
C 3.207 -1.525 0.037 -0.31
C -1.012 0.998 -1.574 -1.13
C -0.553 0.774 1.393 -0.91
H -0.379 1.757 -1.339 0.41